(Activity)
Your job: echo everything further down exactly.
(Given)
┌──
RbCaGaF6 | PBE-GGA | optimized geometry

The space group is Imma (No. 74) and the conventional cell measures 7.5516, 7.6567 and 10.1822 Å, with angles of 90.00, 90.00 and 90.00 degrees. The asymmetric unit holds Rb at (0.0000, 0.2500, 0.1033), Ca at (0.0000, 0.0000, 0.5000), Ga at (0.2500, 0.2500, 0.7500), F at (0.0000, 0.2500, 0.3911), F at (0.0000, 0.2500, 0.7020) and F at (0.2301, 0.0749, 0.8811).

The calculated total energy comes out at -181.90 eV per cell.



RbCa2GaF | PBE-GGA | optimized geometry

The space group is P4/mmm (No. 123) and the conventional cell measures 5.6905, 5.6905 and 6.8734 Å, with angles of 90.00, 90.00 and 90.00 degrees. The asymmetric unit holds Rb at (0.0000, 0.0000, 0.0000), Ca at (0.0000, 0.5000, 0.5000), Ga at (0.0000, 0.0000, 0.5000) and F at (0.5000, 0.5000, 0.0000).

The calculated total energy comes out at -12.24 eV per cell.



Ca2GaSnF | PBE-GGA | optimized geometry

The space group is P4/mmm (No. 123) and the conventional cell measures 4.9157, 4.9157 and 4.7783 Å, with angles of 90.00, 90.00 and 90.00 degrees. The asymmetric unit holds Ca at (0.0000, 0.5000, 0.0000), Ga at (0.0000, 0.0000, 0.5000), Sn at (0.5000, 0.5000, 0.5000) and F at (0.0000, 0.0000, 0.0000).

The calculated total energy comes out at -18.99 eV per cell.



CaGaSn2F | PBE-GGA | optimized geometry

The space group is P4/mmm (No. 123) and the conventional cell measures 4.9575, 4.9575 and 4.8826 Å, with angles of 90.00, 90.00 and 90.00 degrees. The asymmetric unit holds Ca at (0.0000, 0.0000, 0.0000), Ga at (0.5000, 0.5000, 0.0000), Sn at (0.0000, 0.5000, 0.5000) and F at (0.5000, 0.5000, 0.5000).

The calculated total energy comes out at -18.22 eV per cell.



Sr2CaGaF | PBE-GGA | optimized geometry

The space group is P4/mmm (No. 123) and the conventional cell measures 5.2342, 5.2342 and 4.9827 Å, with angles of 90.00, 90.00 and 90.00 degrees. The asymmetric unit holds Sr at (0.0000, 0.5000, 0.0000), Ca at (0.0000, 0.0000, 0.5000), Ga at (0.5000, 0.5000, 0.5000) and F at (0.0000, 0.0000, 0.0000).

The calculated total energy comes out at -16.10 eV per cell.



CaTaGaF2 | PBE-GGA | optimized geometry

The space group is P4/mmm (No. 123) and the conventional cell measures 4.4088, 4.4088 and 5.4196 Å, with angles of 90.00, 90.00 and 90.00 degrees. The asymmetric unit holds Ca at (0.0000, 0.0000, 0.0000), Ta at (0.5000, 0.5000, 0.0000), Ga at (0.5000, 0.5000, 0.5000) and F at (0.0000, 0.5000, 0.5000).

The calculated total energy comes out at -22.37 eV per cell.



CaGaTcF2 | PBE-GGA | optimized geometry

The space group is P4/mmm (No. 123) and the conventional cell measures 4.3126, 4.3126 and 5.2260 Å, with angles of 90.00, 90.00 and 90.00 degrees. The asymmetric unit holds Ca at (0.0000, 0.0000, 0.0000), Ga at (0.5000, 0.5000, 0.5000), Tc at (0.5000, 0.5000, 0.0000) and F at (0.0000, 0.5000, 0.5000).

The calculated total energy comes out at -22.51 eV per cell.



CaGa2TeF | PBE-GGA | optimized geometry

The space group is P4/mmm (No. 123) and the conventional cell measures 5.6791, 5.6791 and 4.3908 Å, with angles of 90.00, 90.00 and 90.00 degrees. The asymmetric unit holds Ca at (0.0000, 0.0000, 0.0000), Ga at (0.0000, 0.5000, 0.5000), Te at (0.5000, 0.5000, 0.5000) and F at (0.5000, 0.5000, 0.0000).

The calculated total energy comes out at -14.72 eV per cell.



CaTl2Ga3F12 | PBE-GGA | optimized geometry

The space group is R-3m (No. 166, hexagonal axes) and the conventional cell measures 7.5451, 7.5451 and 18.4601 Å, with angles of 90.00, 90.00 and 120.00 degrees. The asymmetric unit holds Ca at (0.0000, 0.0000, 0.0000), Tl at (0.0000, 0.0000, 0.3684), Ga at (0.0000, 0.5000, 0.5000), F at (0.0309, 0.5154, 0.6043) and F at (0.0814, 0.5407, 0.8416).

The calculated total energy comes out at -254.00 eV per cell.



CaZn2GaF | PBE-GGA | optimized geometry
└──
(Written answer)
RbCaGaF6 | PBE-GGA | optimized geometry

The space group is Imma (No. 74) and the conventional cell measures 7.5516, 7.6567 and 10.1822 Å, with angles of 90.00, 90.00 and 90.00 degrees. The asymmetric unit holds Rb at (0.0000, 0.2500, 0.1033), Ca at (0.0000, 0.0000, 0.5000), Ga at (0.2500, 0.2500, 0.7500), F at (0.0000, 0.2500, 0.3911), F at (0.0000, 0.2500, 0.7020) and F at (0.2301, 0.0749, 0.8811).

The calculated total energy comes out at -181.90 eV per cell.



RbCa2GaF | PBE-GGA | optimized geometry

The space group is P4/mmm (No. 123) and the conventional cell measures 5.6905, 5.6905 and 6.8734 Å, with angles of 90.00, 90.00 and 90.00 degrees. The asymmetric unit holds Rb at (0.0000, 0.0000, 0.0000), Ca at (0.0000, 0.5000, 0.5000), Ga at (0.0000, 0.0000, 0.5000) and F at (0.5000, 0.5000, 0.0000).

The calculated total energy comes out at -12.24 eV per cell.



Ca2GaSnF | PBE-GGA | optimized geometry

The space group is P4/mmm (No. 123) and the conventional cell measures 4.9157, 4.9157 and 4.7783 Å, with angles of 90.00, 90.00 and 90.00 degrees. The asymmetric unit holds Ca at (0.0000, 0.5000, 0.0000), Ga at (0.0000, 0.0000, 0.5000), Sn at (0.5000, 0.5000, 0.5000) and F at (0.0000, 0.0000, 0.0000).

The calculated total energy comes out at -18.99 eV per cell.



CaGaSn2F | PBE-GGA | optimized geometry

The space group is P4/mmm (No. 123) and the conventional cell measures 4.9575, 4.9575 and 4.8826 Å, with angles of 90.00, 90.00 and 90.00 degrees. The asymmetric unit holds Ca at (0.0000, 0.0000, 0.0000), Ga at (0.5000, 0.5000, 0.0000), Sn at (0.0000, 0.5000, 0.5000) and F at (0.5000, 0.5000, 0.5000).

The calculated total energy comes out at -18.22 eV per cell.



Sr2CaGaF | PBE-GGA | optimized geometry

The space group is P4/mmm (No. 123) and the conventional cell measures 5.2342, 5.2342 and 4.9827 Å, with angles of 90.00, 90.00 and 90.00 degrees. The asymmetric unit holds Sr at (0.0000, 0.5000, 0.0000), Ca at (0.0000, 0.0000, 0.5000), Ga at (0.5000, 0.5000, 0.5000) and F at (0.0000, 0.0000, 0.0000).

The calculated total energy comes out at -16.10 eV per cell.



CaTaGaF2 | PBE-GGA | optimized geometry

The space group is P4/mmm (No. 123) and the conventional cell measures 4.4088, 4.4088 and 5.4196 Å, with angles of 90.00, 90.00 and 90.00 degrees. The asymmetric unit holds Ca at (0.0000, 0.0000, 0.0000), Ta at (0.5000, 0.5000, 0.0000), Ga at (0.5000, 0.5000, 0.5000) and F at (0.0000, 0.5000, 0.5000).

The calculated total energy comes out at -22.37 eV per cell.



CaGaTcF2 | PBE-GGA | optimized geometry

The space group is P4/mmm (No. 123) and the conventional cell measures 4.3126, 4.3126 and 5.2260 Å, with angles of 90.00, 90.00 and 90.00 degrees. The asymmetric unit holds Ca at (0.0000, 0.0000, 0.0000), Ga at (0.5000, 0.5000, 0.5000), Tc at (0.5000, 0.5000, 0.0000) and F at (0.0000, 0.5000, 0.5000).

The calculated total energy comes out at -22.51 eV per cell.



CaGa2TeF | PBE-GGA | optimized geometry

The space group is P4/mmm (No. 123) and the conventional cell measures 5.6791, 5.6791 and 4.3908 Å, with angles of 90.00, 90.00 and 90.00 degrees. The asymmetric unit holds Ca at (0.0000, 0.0000, 0.0000), Ga at (0.0000, 0.5000, 0.5000), Te at (0.5000, 0.5000, 0.5000) and F at (0.5000, 0.5000, 0.0000).

The calculated total energy comes out at -14.72 eV per cell.



CaTl2Ga3F12 | PBE-GGA | optimized geometry

The space group is R-3m (No. 166, hexagonal axes) and the conventional cell measures 7.5451, 7.5451 and 18.4601 Å, with angles of 90.00, 90.00 and 120.00 degrees. The asymmetric unit holds Ca at (0.0000, 0.0000, 0.0000), Tl at (0.0000, 0.0000, 0.3684), Ga at (0.0000, 0.5000, 0.5000), F at (0.0309, 0.5154, 0.6043) and F at (0.0814, 0.5407, 0.8416).

The calculated total energy comes out at -254.00 eV per cell.



CaZn2GaF | PBE-GGA | optimized geometry